Switching to solar energy might sound unrealistic to most small business owners, but recent advancements in the industry have made it worth looking into. The cost of solar panels has steadily been dropping. This means that now is a great time to talk to a professional to see if utilizing solar energy for your small business would be worth it. Not only could a switch to solar be cost effective, but it could also improve your property value and shows consumers that your business is committed to sustainable energy. Here are a few reasons to look into solar energy for your small business.
Tax Incentives
Take advantage of tax incentives to install solar for your small business. Thanks to the federal Business Energy Investment Tax Credit, rebates are available for businesses that install solar. Receive 30% back on solar technology installed before December 31, 2019. This money back makes solar so much more affordable. This percentage decreases every year so it would be beneficial to see if solar is a good fit for your small business soon.
Impress Current and Future Clients with a Commitment to Sustainability.
Attract new clients and keep your regulars coming back by showcasing your switch to solar power. Many people will seek out businesses with eco-friendly business practices to work with. It is more important than ever to take care of our planet. People generally appreciate businesses that are going solar and will often switch over to them. This means that a move to solar should mean an increase in revenue.
Reduce Operating Costs
Although the initial installation will cost your business up front, the tax credits and energy savings will certainly make up for the expense over time. Depending on the system your company goes with, your electric bill should significantly decrease or be eliminated entirely. Some areas even provide a rebate to those who produce more electricity than they use. No matter the case, this extra money should help make extra room in your budget and provide more opportunities for your business.
Increase Your Property Value
Whether working from a home office or in a building your business owns, installing solar power will increase your property value. Properties with solar already installed are very high in demand. This means that if your business grows to a point that you need to sell and look for a larger property, you will make more money on the transaction. This will give you more money to use toward purchasing a property that will meet the demands of your growing business.
Calculated crystals, as found in the file:
<<<
# Dy4Er5Tm3 PBE optimized geometry
# ΔE to the lowest computed polymorph: 21.9 kJ per mole of atoms
# crystal system: monoclinic
# energy: -4.3037 eV/atom
data_Dy4Er5Tm3
_symmetry_space_group_name_H-M 'C 1 2/m 1'
_symmetry_Int_Tables_number 12
_cell_length_a 15.854
_cell_length_b 5.799
_cell_length_c 9.163
_cell_angle_alpha 90.00
_cell_angle_beta 116.57
_cell_angle_gamma 90.00
loop_
_symmetry_equiv_pos_as_xyz
'x,y,z'
'-x,-y,-z'
'-x,y,-z'
'x,-y,z'
'x+1/2,y+1/2,z'
'-x+1/2,-y+1/2,-z'
'-x+1/2,y+1/2,-z'
'x+1/2,-y+1/2,z'
loop_
_atom_site_label
_atom_site_type_symbol
_atom_site_fract_x
_atom_site_fract_y
_atom_site_fract_z
Dy1 Dy 0.081 0.000 0.441
Dy2 Dy 0.214 0.000 0.879
Er1 Er 0.000 0.000 0.000
Er2 Er 0.073 0.500 0.702
Er3 Er 0.172 0.500 0.385
Tm1 Tm 0.000 0.500 0.000
Tm2 Tm 0.210 0.000 0.234

* * * * *

Here is a geometry-optimized NdTmPt structure from OQMD. Energies are from PBE.

Results
Total magnetization in μB/f.u.: 0.002
ΔE_f in meV per atom: -153.0
E in eV per atom: -5.251
Relative energy among the computed polymorphs in meV/atom: 0

a b c (Å): 4.7848 4.7848 4.7848
angles (deg): 60.00 60.00 60.00
Atoms (fractional coordinates):
Nd 0.0000 0.0000 0.0000
Tm 0.2500 0.2500 0.2500
Pt 0.5000 0.5000 0.5000

***

Here is a geometry-optimized NdUPt structure from OQMD. Energies are from PBE.

Results
Total magnetization in μB/f.u.: 3.880
ΔE_f in meV per atom: -123.9
E in eV per atom: -7.496
Relative energy among the computed polymorphs in meV/atom: 0

a b c (Å): 4.8731 4.8731 4.8731
angles (deg): 60.00 60.00 60.00
Atoms (fractional coordinates):
Nd 0.0000 0.0000 0.0000
U 0.5000 0.5000 0.5000
Pt 0.2500 0.2500 0.2500

***

Here is a geometry-optimized NdPtW structure from OQMD. Energies are from PBE.

Results
Total magnetization in μB/f.u.: 0.726
ΔE_f in meV per atom: 503.0
E in eV per atom: -7.423
Relative energy among the computed polymorphs in meV/atom: 0

a b c (Å): 4.6569 4.6569 4.6569
angles (deg): 60.00 60.00 60.00
Atoms (fractional coordinates):
Nd 0.0000 0.0000 0.0000
Pt 0.2500 0.2500 0.2500
W 0.5000 0.5000 0.5000

***

Here is a geometry-optimized Nd3YPt4 structure from OQMD. Energies are from PBE.

Results
Total magnetization in μB/f.u.: 0.000
ΔE_f in meV per atom: -1173.1
E in eV per atom: -6.795

a b c (Å): 5.6871 4.5962 7.2695
angles (deg): 90.00 90.50 90.00
Atoms (fractional coordinates):
Nd 0.0000 0.0000 0.0000
Nd 0.2209 0.0000 0.4960
Nd 0.7192 0.5000 0.6331
Y 0.4996 0.5000 0.1332
Pt 0.0145 0.5000 0.2692
Pt 0.2102 0.5000 0.7764
Pt 0.5116 0.0000 0.8690
Pt 0.7011 0.0000 0.3513

***

Here is a geometry-optimized NdYPt structure from OQMD. Energies are from PBE.

Results
Total magnetization in μB/f.u.: 0.003
ΔE_f in meV per atom: -99.0
E in eV per atom: -5.860
Relative energy among the computed polymorphs in meV/atom: 0

a b c (Å): 4.8068 4.8068 4.8068
angles (deg): 60.00 60.00 60.00
Atoms (fractional coordinates):
Nd 0.0000 0.0000 0.0000
Y 0.2500 0.2500 0.2500
Pt 0.5000 0.5000 0.5000

***
>>>
Now is the time to look into having solar installed at your small business. Reach out to a few local companies to see if solar would be a good fit for your property and to get a quote. Each property is unique and solar will work in some locations better than others. A professional will help you make the best decision. This is also a great way to meet others in the community and make connections. Who knows, maybe your solar installer will become a future customer.